'''
60
Properties=species:S:1:pos:R:3:forces:R:3 method="wB97M-V/def2-TZVPD" de_lowest_kcal_mol=16.9 e_lumo_ha="-0.285 / -0.285" molar_mass_g_mol=544.85 gap_ha="0.237 / 0.237" charge=+2
Pd -0.8536 0.2641 -0.1784 0.169 0.480 -1.286
C 5.9106 -0.3987 1.2317 0.031 -0.003 0.001
C 5.1053 0.6179 1.7307 -0.022 0.018 -0.005
C 3.7632 0.6615 1.3961 0.038 0.007 -0.022
C 3.2264 -0.3256 0.5669 0.128 -0.016 0.011
C 4.0356 -1.3446 0.0640 0.037 -0.071 -0.022
C 5.3806 -1.3758 0.4008 -0.042 0.029 -0.006
P 1.4742 -0.3003 0.2472 -0.170 0.227 0.283
C 1.0009 -1.3587 -1.1184 -0.006 -0.332 -0.174
C -0.0965 -2.2330 -0.9827 -0.048 0.134 -0.083
C -0.5887 -2.9217 -2.1003 0.057 0.042 0.083
C 0.0041 -2.7444 -3.3283 0.057 0.002 -0.111
C 1.0917 -1.8689 -3.4728 -0.074 -0.041 -0.033
C 1.5798 -1.1745 -2.3914 -0.035 0.036 0.068
C 0.5014 -0.9541 1.6467 1.187 -0.198 -0.256
C 0.8742 -2.0144 2.4571 -0.551 0.174 0.597
C -0.0683 -2.4370 3.3969 -0.141 0.106 -0.118
C -1.3337 -1.8476 3.4475 0.047 -0.010 0.024
C -1.7294 -0.8378 2.5567 0.242 -0.081 0.288
C -0.7598 -0.4062 1.6819 -0.423 -0.718 -0.058
H 6.9608 -0.4264 1.4903 -0.008 -0.002 0.004
H 5.5267 1.3782 2.3740 -0.002 -0.004 -0.002
H 3.1390 1.4595 1.7801 -0.004 -0.016 0.003
H 3.6255 -2.1114 -0.5818 -0.012 0.004 0.026
H 6.0128 -2.1653 0.0181 -0.005 0.002 -0.011
H -0.5042 -2.4538 -0.0054 0.040 -0.102 0.036
H -1.4104 -3.6166 -1.9848 -0.003 0.019 0.021
H -0.3584 -3.2937 -4.1876 0.010 0.021 0.002
H 1.5486 -1.7387 -4.4452 0.003 -0.011 0.013
H 2.4103 -0.4895 -2.5177 0.014 -0.019 0.024
H 1.8480 -2.4789 2.3697 0.022 0.047 0.047
H 0.1709 -3.2371 4.0845 -0.017 -0.003 -0.007
H -2.0538 -2.2025 4.1739 0.030 -0.001 0.017
H -2.7332 -0.4365 2.5895 -0.033 -0.077 -0.070
C -4.2160 0.2338 -2.6666 0.006 0.046 -0.130
C -2.7932 -0.0546 -2.1839 -0.190 -0.135 -0.060
C -1.8327 1.0789 -2.5624 -0.045 -0.147 0.179
C -2.7992 -0.2601 -0.6853 0.251 0.535 0.590
H -4.2218 0.3995 -3.7460 -0.001 -0.006 0.031
H -4.6149 1.1287 -2.1832 0.004 -0.011 -0.020
H -4.8884 -0.5971 -2.4545 0.022 0.005 0.031
H -2.4388 -0.9682 -2.6650 0.024 -0.006 0.040
H -2.2032 2.0384 -2.2029 0.030 0.053 -0.018
H -1.6619 1.1493 -3.6358 -0.094 -0.032 -0.034
H -0.8127 0.8971 -2.1594 0.230 0.177 -0.160
H -2.9378 -1.2777 -0.3309 -0.080 -0.013 0.011
H -3.3988 0.4537 -0.1268 -0.337 -0.113 -0.107
C -0.5710 3.8528 -0.3664 0.074 -0.012 -0.098
As -0.9636 2.4024 0.8159 -0.484 -0.303 0.548
C 0.1444 2.6827 2.3564 0.143 0.039 -0.052
C -2.7509 2.7032 1.4467 -0.064 0.115 -0.080
H -0.8217 4.7394 0.2168 0.049 0.122 -0.118
H -1.1790 3.8074 -1.2643 -0.031 0.047 -0.003
H 0.4842 3.8568 -0.6282 0.016 0.003 0.009
H -0.2225 3.5810 2.8526 0.028 0.002 0.036
H 1.1728 2.8391 2.0365 -0.004 -0.018 0.011
H 0.0813 1.8284 3.0228 -0.008 0.005 0.052
H -2.7745 3.6472 1.9898 -0.015 0.013 0.014
H -3.0424 1.8933 2.1099 -0.013 -0.009 0.040
H -3.4380 2.7575 0.6046 -0.028 -0.004 0.001



71
Properties=species:S:1:pos:R:3:forces:R:3 method="wB97M-V/def2-TZVPD" e_lumo_ha="0.085 / 0.085" spin_multiplicity=2 s_squared=0.75 molar_mass_g_mol=664.95 gap_ha="0.241 / 0.278" charge=-1
Ti 0.8251 0.4917 -0.4302 -0.311 0.644 -0.655
O 1.0547 -1.3472 -0.8723 0.251 -0.713 -0.114
C 1.5217 -2.4724 -0.4097 -0.055 0.050 0.070
C 1.7439 -3.5481 -1.2885 0.006 -0.053 0.031
C 2.1818 -4.7662 -0.8204 -0.005 0.007 -0.050
C 2.4188 -4.9643 0.5406 0.002 -0.010 0.037
C 2.2247 -3.9145 1.4132 -0.008 0.003 -0.027
C 1.7894 -2.6631 0.9646 0.032 -0.036 -0.077
C 1.6448 -1.5409 1.8795 0.059 0.084 0.086
N 1.2583 -0.3076 1.5846 0.239 -0.014 0.050
C 1.3359 0.4296 2.7458 -0.008 0.033 -0.042
C 1.7621 -0.3628 3.7578 0.025 -0.021 0.012
N 1.9558 -1.6070 3.1995 -0.041 0.004 -0.033
H 1.5511 -3.3775 -2.3396 -0.002 0.003 -0.002
H 2.3423 -5.5796 -1.5178 -0.003 0.001 0.000
H 2.7543 -5.9249 0.9082 0.001 0.002 0.000
H 2.4147 -4.0827 2.4678 0.002 0.013 0.002
H 1.0830 1.4744 2.7432 0.003 0.008 -0.002
H 1.9425 -0.1644 4.7987 0.003 -0.002 0.000
H 2.3093 -2.4187 3.6699 -0.020 -0.002 0.008
C -1.1982 -1.0265 -2.9839 -0.020 0.012 0.023
Si -2.0314 -1.0157 -1.2932 -0.079 -0.039 0.061
'''

The reader should work out how many lines above have the word "species" in them; a number is enough.

2